== Listing ==
- - -
No. 1
DFT (GGA-PBE) results for a relaxed structure of Be2NiIr. Values from VASP.

Cell and atoms, written as Quantum ESPRESSO input:
```
&SYSTEM
  ibrav = 0, nat = 4, ntyp = 3
/
ATOMIC_SPECIES
Ni 58.69 Ni.upf
Ir 192.22 Ir.upf
Be 9.01 Be.upf
CELL_PARAMETERS angstrom
-1.9127 1.9127 2.7171
1.9127 -1.9127 2.7171
1.9127 1.9127 -2.7171
ATOMIC_POSITIONS angstrom
Ni 0.0000 0.0000 0.0000
Ir 0.0000 0.0000 2.7171
Be 0.0000 1.9127 1.3586
Be 1.9127 0.0000 1.3586
```

Calculated values
Space-group type = I4/mmm, No. 139
Total moment = 0.000 μB/atom
Final energy = -24.24 eV per cell
E above lowest polymorph = 0.00 eV/f.u.



No. 2
DFT (GGA-PBE) results for a relaxed structure of SrAgOs. Values from VASP.

Cell and atoms, written as Quantum ESPRESSO input:
```
&SYSTEM
  ibrav = 0, nat = 3, ntyp = 3
/
ATOMIC_SPECIES
Ag 107.87 Ag.upf
Os 190.23 Os.upf
Sr 87.62 Sr.upf
CELL_PARAMETERS angstrom
0.0000 3.3679 3.3679
3.3679 0.0000 3.3679
3.3679 3.3679 0.0000
ATOMIC_POSITIONS angstrom
Ag 1.6840 1.6840 1.6840
Os 0.0000 0.0000 0.0000
Sr 5.0519 5.0519 5.0519
```

Calculated values
Space-group type = F-43m, No. 216
Total moment = 0.364 μB/atom
Final energy = -12.36 eV per cell
E above lowest polymorph = 0.00 eV/f.u.

* * * * *

A plane-wave DFT calculation with PBE was carried out for a geometry-optimized AgHgPt structure.

Structure (POSCAR):
```
AgHgPt
1.0
-2.414 -2.458 3.111
4.633 0.155 0.254
-0.174 2.354 1.726
Ag Hg Pt
1 1 1
direct
0.000 0.000 0.001
0.667 0.333 0.350
0.333 0.667 0.649
```

M_tot ... 0.0 μB/f.u.
Energy of formation from the pure elements ... 69 meV/atom
SG ... P3m1, No. 156

A plane-wave DFT calculation with PBE was carried out for a geometry-optimized Sn2SbTe structure.

Structure (POSCAR):
```
Sn2SbTe
1.0
0.000 3.824 3.824
3.824 0.000 3.824
3.824 3.824 0.000
Sb Te Sn
1 1 2
direct
0.000 0.000 0.000
0.500 0.500 0.500
0.250 0.250 0.250
0.750 0.750 0.750
```

M_tot ... 0.0 μB/f.u.
Raw formation energy ... 7 kJ/mol of atoms
SG ... Fm-3m, No. 225

* * * * *

[1]
A relaxed NaErCd2Hg4 crystal. Source: Alexandria, functional GGA-PBE.

POSCAR file:
```
NaErCd2Hg4
1.0
2.533 1.463 8.374
-2.533 1.463 8.374
0.000 -2.925 8.374
Na Er Cd Hg
1 1 2 4
Direct
0.000 0.000 0.000 Na
0.500 0.500 0.500 Er
0.250 0.250 0.250 Cd
0.750 0.750 0.750 Cd
0.124 0.124 0.124 Hg
0.374 0.374 0.374 Hg
0.626 0.626 0.626 Hg
0.876 0.876 0.876 Hg
```

Results
**VASP energy**: -1.36 eV/atom
**Theoretical density**: 10.86 Mg/m³
**ΔH_f (0 K)**: -0.240 eV per atom

[2]
A relaxed NaErCdHg crystal. Source: Alexandria, functional GGA-PBE.

POSCAR file:
```
NaErCdHg
1.0
0.000 3.654 3.654
3.654 0.000 3.654
3.654 3.654 0.000
Na Er Cd Hg
1 1 1 1
Direct
0.000 0.000 0.000 Na
0.500 0.500 0.500 Er
0.750 0.750 0.750 Cd
0.250 0.250 0.250 Hg
```

Results
**VASP energy**: -1.99 eV/atom
**Theoretical density**: 8.56 Mg/m³
**ΔH_f (0 K)**: -0.217 eV per atom

- Look up the ΔH_f (0 K) of the second one.
  -0.217 eV per atom

- VASP energy of number 2 (NaErCdHg)?
  -1.99 eV/atom

* * * * *

Below is a geometry-optimized Ho3Cu2Ni7 structure, with properties calculated at the PBE level.

Geometry as CIF:
```
data_Ho3Cu2Ni7
_chemical_formula_sum 'Ho9 Cu6 Ni21'
_symmetry_space_group_name_H-M 'R -3 m'
_symmetry_Int_Tables_number 166
_symmetry_space_group_name_Hall '-R 3 2"'
_cell_length_a 4.9944
_cell_length_b 4.9944
_cell_length_c 24.2445
_cell_angle_alpha 90.00
_cell_angle_beta 90.00
_cell_angle_gamma 120.00
loop_
_atom_site_label
_atom_site_fract_x
_atom_site_fract_y
- - -

== Job ==
Start at the top of the notes further up and retype each line, ending with the one that has "0.124 0.124".

== Outcome ==
No. 1
DFT (GGA-PBE) results for a relaxed structure of Be2NiIr. Values from VASP.

Cell and atoms, written as Quantum ESPRESSO input:
```
&SYSTEM
  ibrav = 0, nat = 4, ntyp = 3
/
ATOMIC_SPECIES
Ni 58.69 Ni.upf
Ir 192.22 Ir.upf
Be 9.01 Be.upf
CELL_PARAMETERS angstrom
-1.9127 1.9127 2.7171
1.9127 -1.9127 2.7171
1.9127 1.9127 -2.7171
ATOMIC_POSITIONS angstrom
Ni 0.0000 0.0000 0.0000
Ir 0.0000 0.0000 2.7171
Be 0.0000 1.9127 1.3586
Be 1.9127 0.0000 1.3586
```

Calculated values
Space-group type = I4/mmm, No. 139
Total moment = 0.000 μB/atom
Final energy = -24.24 eV per cell
E above lowest polymorph = 0.00 eV/f.u.



No. 2
DFT (GGA-PBE) results for a relaxed structure of SrAgOs. Values from VASP.

Cell and atoms, written as Quantum ESPRESSO input:
```
&SYSTEM
  ibrav = 0, nat = 3, ntyp = 3
/
ATOMIC_SPECIES
Ag 107.87 Ag.upf
Os 190.23 Os.upf
Sr 87.62 Sr.upf
CELL_PARAMETERS angstrom
0.0000 3.3679 3.3679
3.3679 0.0000 3.3679
3.3679 3.3679 0.0000
ATOMIC_POSITIONS angstrom
Ag 1.6840 1.6840 1.6840
Os 0.0000 0.0000 0.0000
Sr 5.0519 5.0519 5.0519
```

Calculated values
Space-group type = F-43m, No. 216
Total moment = 0.364 μB/atom
Final energy = -12.36 eV per cell
E above lowest polymorph = 0.00 eV/f.u.

* * * * *

A plane-wave DFT calculation with PBE was carried out for a geometry-optimized AgHgPt structure.

Structure (POSCAR):
```
AgHgPt
1.0
-2.414 -2.458 3.111
4.633 0.155 0.254
-0.174 2.354 1.726
Ag Hg Pt
1 1 1
direct
0.000 0.000 0.001
0.667 0.333 0.350
0.333 0.667 0.649
```

M_tot ... 0.0 μB/f.u.
Energy of formation from the pure elements ... 69 meV/atom
SG ... P3m1, No. 156

A plane-wave DFT calculation with PBE was carried out for a geometry-optimized Sn2SbTe structure.

Structure (POSCAR):
```
Sn2SbTe
1.0
0.000 3.824 3.824
3.824 0.000 3.824
3.824 3.824 0.000
Sb Te Sn
1 1 2
direct
0.000 0.000 0.000
0.500 0.500 0.500
0.250 0.250 0.250
0.750 0.750 0.750
```

M_tot ... 0.0 μB/f.u.
Raw formation energy ... 7 kJ/mol of atoms
SG ... Fm-3m, No. 225

* * * * *

[1]
A relaxed NaErCd2Hg4 crystal. Source: Alexandria, functional GGA-PBE.

POSCAR file:
```
NaErCd2Hg4
1.0
2.533 1.463 8.374
-2.533 1.463 8.374
0.000 -2.925 8.374
Na Er Cd Hg
1 1 2 4
Direct
0.000 0.000 0.000 Na
0.500 0.500 0.500 Er
0.250 0.250 0.250 Cd
0.750 0.750 0.750 Cd
0.124 0.124 0.124 Hg